Sunday 27 April 2014

Ascension Day service

Fashion show 16 June

Back by popular demand, this is the moment, ladies, to refresh your wardrobe!  Even if all you buy is a £20 scarf for £5, you will go home happy, having had an entertaining evening catching up with friends, and also with the latest trends in fashion.  The clothes are from sizes 8 to 24, modelled by real people who have generously given their time to show you how the fashions look on real people.  These are high street labels of the first quality, and there is a changing room to try before you buy.  Entry to the show is £5.   Tickets are now on sale at the Post Office, or contact Jane Kania ( or Julie Partridge (, or phone Carol Bennett (01526 322930).  Doors and Private Bar will open from 7 pm.  The fashion show starts at 7.30 pm.

=====
Computed, not measured: a structure of composition C24H43ClFI2N3O3Si2 at a distorted geometry, with ωB97M-V/def2-TZVPD.

Properties
Charge = 0
Strongest force on any atom = 5.8 eV/A
2S+1 = 1

Last column: Löwdin charge in e.
Positions of all 79 atoms, in Å:
1 H -3.059 -0.863 1.724  0.02
2 H -7.776 -0.050 2.373  0.08
3 C 6.548 5.983 -2.947  -0.55
4 Si 0.070 -2.612 -0.392  0.38
5 H 5.009 4.414 -0.614  0.06
6 H -4.163 1.600 -0.727  0.10
7 H -5.399 -0.102 0.977  0.05
8 O 7.674 6.433 -3.148  0.01
9 C -3.787 -2.564 -0.275  -0.22
10 H -2.597 0.134 -1.736  0.11
11 H 1.389 3.240 2.749  0.07
12 O 3.976 4.104 1.285  0.00
13 H 3.699 -5.250 2.276  0.08
14 H -9.192 -2.404 2.867  0.08
15 C -5.900 -1.141 1.174  -0.04
16 H 5.380 4.546 -4.020  0.08
17 H -4.415 -5.531 0.200  0.07
18 H -0.645 -2.565 -3.950  0.08
19 C -1.389 -2.410 -3.029  -0.35
20 H 6.782 6.082 -0.967  0.14
21 O -0.952 -2.124 0.931  -0.41
22 C 2.581 -3.636 0.937  -0.31
23 C 3.471 -5.039 1.131  -0.15
24 I 2.038 -1.133 -3.122  0.79
25 H -3.371 -3.646 -0.120  0.06
26 H 4.713 6.214 -4.024  0.08
27 H -3.614 1.156 1.111  0.05
28 H 3.235 -2.954 0.248  0.10
29 C 3.157 0.788 -0.693  -0.22
30 N 3.546 4.860 3.354  0.00
31 C -8.168 -2.488 2.305  -0.08
32 H -2.686 -2.691 -4.674  0.08
33 H 1.089 4.881 2.087  0.09
34 C 4.827 5.299 -1.229  -0.09
35 H 2.832 6.248 4.704  0.08
36 H -1.270 -1.280 -2.725  0.08
37 C 1.360 -1.314 -0.999  -0.68
38 Cl 0.083 -5.089 1.494  0.50
39 H -2.670 2.440 0.104  0.10
40 C 3.150 4.310 2.171  -0.53
41 H 2.963 -5.957 0.589  0.07
42 H 1.392 -4.798 -0.623  0.09
43 H 4.540 5.058 3.394  0.14
44 C 5.624 5.611 -4.072  -0.02
45 H -6.224 -5.746 -0.508  0.09
46 H 6.117 5.806 -5.029  0.08
47 C -7.486 -3.888 1.750  -0.04
48 C -0.910 -3.461 -1.871  -0.24
49 H 1.686 4.926 4.361  0.08
50 C 1.143 -4.103 0.316  -0.70
51 H 4.348 6.069 -0.618  0.08
52 N 6.104 5.809 -1.669  0.00
53 H 4.525 -4.874 0.622  0.07
54 H -1.763 -4.181 -1.486  0.09
55 C 2.057 -0.319 -0.087  -0.74
56 C -6.040 -3.933 0.911  -0.13
57 H 4.084 0.254 -1.210  0.08
58 H -8.079 -4.887 1.946  0.08
59 C -3.260 1.414 0.025  -0.12
60 H 2.414 -3.230 2.024  0.07
61 H -3.374 -1.883 -3.397  0.05
62 H 3.461 1.529 0.163  0.05
63 C 1.694 3.975 2.000  -0.01
64 C -7.341 -1.099 2.007  -0.08
65 H -0.100 -4.186 -2.365  0.09
66 H 3.130 4.619 5.361  0.09
67 C -5.561 -5.418 0.405  -0.12
68 C -5.209 -2.514 0.604  -0.14
69 Si -2.437 -1.340 0.459  0.61
70 N -2.780 -2.727 -3.617  -0.05
71 H 1.533 3.545 1.007  0.08
72 C -2.222 0.266 -0.610  -0.34
73 H 4.174 5.036 -2.061  0.08
74 H -4.094 -2.299 -1.371  0.08
75 C 2.737 5.177 4.507  -0.08
76 I 1.716 -0.245 2.067  0.87
77 F -0.867 0.880 -0.513  -0.16
78 H 2.588 1.438 -1.509  0.07
79 H -5.840 -6.172 1.288  0.09

***

Computed, not measured: a cluster of 5 separate species, C24H43F3NO5P in total at a distorted geometry, with ωB97M-V/def2-TZVPD.

Properties
Charge = 0
Strongest force on any atom = 2.2 eV/A
2S+1 = 1
SMILES string = [H]/N=C(/C)CP(C#C)C[C@H](O)C(F)(F)F.C1CCOC1.C1CCOC1.C1CCOC1.C1CCOC1
=====

Spring Sunday lunch

Tickets are now available for the Spring Sunday Lunch in aid of repairs to Nocton Church at the Village Hall at 12.30 pm.  We are still trying to raise funds to restore the damaged wall paintings in the chancel, so the continuing support of people living in the village is greatly appreciated.  Aside from cooked meats, there will be home made quiches and salads, and a delectable assortment of puddings!  Tickets are £8 for adults and £4 for children.   There will be a complimentary glass of wine or juice, with a donation bar.  Buy your tickets in the Post Office or phone Ann Kennedy (01526 322739). 

Annual Parochial Church Meeting

The Annual Parochial Church Meeting (the church's AGM) was held on 23 April.  Six members of the congregation attended.  Liz Murray was elected as churchwarden, Ann Kennedy was elected as Deanery Synod representative and Carol Bennett, Nicholas Bennett, Ruth Eagle, Doreen Green and Chris Howard were elected as members of the Parochial Church Council for the coming year.  Ann Kennedy, Ruth Eagle and Richard and Jacky Free were elected as sidespersons.

Monday 21 April 2014

Church clean up

Thank you to the thirteen willing helpers who worked so hard to give our church a thorough spring clean. We were all pleased with the results and had a lot of fun too as you can see by Richard’s feather duster!


Alleluia!  Christ is risen!

He is risen indeed!  Alleluia!

Sunday 13 April 2014

____________
Computed, not measured: a single C21H30N4O molecule, with ωB97M-V with the def2-TZVPD basis set.

## Properties
**Calculated total energy**: -30273.0263 eV
**Molar mass**: 354.498 g mol⁻¹
**HOMO**: -7.61 eV

```
! wB97M-V def2-TZVPD RIJCOSX def2/J DEFGRID3
* xyz 0 1
C -4.274 -2.663 0.601
H -5.361 -2.660 0.562
H -3.906 -3.490 -0.002
H -3.963 -2.827 1.631
C -3.713 -1.336 0.081
C -2.207 -1.348 0.196
C -1.575 -0.691 1.246
C -0.206 -0.730 1.399
C 0.599 -1.441 0.504
C -0.034 -2.103 -0.549
C -1.407 -2.055 -0.691
H -1.857 -2.588 -1.516
H 0.541 -2.663 -1.268
N 1.956 -1.517 0.740
H 2.285 -0.811 1.384
C 2.915 -1.838 -0.292
C 3.035 -0.700 -1.332
N 3.622 0.461 -0.714
C 2.952 1.526 -0.205
O 3.530 2.365 0.477
C 1.507 1.689 -0.463
N 0.720 0.951 -1.241
N -0.497 1.461 -1.114
C -0.544 2.516 -0.270
C 0.749 2.696 0.168
H 1.131 3.435 0.840
C -1.785 3.280 0.066
C -1.996 3.275 1.583
H -2.132 2.256 1.938
H -2.879 3.855 1.843
H -1.137 3.704 2.091
C -3.017 2.724 -0.645
H -3.204 1.699 -0.332
H -3.890 3.321 -0.390
H -2.894 2.754 -1.726
H -1.634 4.319 -0.254
H -1.266 1.011 -1.585
C 4.977 0.225 -0.257
C 4.969 -0.847 0.834
C 4.290 -2.120 0.326
H 4.177 -2.835 1.143
H 4.920 -2.577 -0.440
H 5.992 -1.070 1.139
H 4.442 -0.455 1.706
H 5.372 1.166 0.128
H 5.581 -0.102 -1.110
H 2.051 -0.445 -1.723
H 3.686 -1.021 -2.152
H 2.571 -2.746 -0.799
H 0.259 -0.200 2.220
H -2.170 -0.140 1.962
C -4.200 -1.083 -1.347
H -5.282 -0.967 -1.355
H -3.946 -1.915 -1.998
H -3.757 -0.178 -1.758
H -4.097 -0.532 0.722
*
```

Atomic partial charges in e from the natural (NBO) method, atoms 1 to 5:
1. C -0.596
2. H 0.203
3. H 0.203
4. H 0.212
5. C -0.219

----------

{
  "formula": "C55H152BNO52S17",
  "method": "ωB97M-V with the def2-TZVPD basis set",
  "molar_mass_g_mol": 2215.73,
  "e_tot_ev": -352318.210,
  "e_homo_ha": -0.3605,
  "charge": 0,
  "fmax_ha_per_bohr": 0.0865,
  "gap_ev": 9.4,
____________
The article goes on =

Annual Parochial Church Meeting

The Annual Parish Meeting (APM) and the Annual Parochial Church Meeting (APCM) - the church's AGM -  will be held on Wednesday 23 April at 7.30 pm in church.

Why two meetings, you may ask? The APM is to elect the two churchwardens who will serve for the following year.  Anyone on the civil electoral register – anyone entitled to vote in government elections – or on the church electoral roll may attend the meeting.  The APCM immediately follows and is to receive the accounts, the fabric report and the report of the Parochial Church Council (PCC), and to elect the PCC and sidespersons for the following year.  Anyone on the church electoral roll is entitled to attend.  We have six elected members of the PCC.

Please join us on 23 April! We promise not to elect you as PCC member or sidesperson unless you actually volunteer!

Children's event for Good Friday

No. 1
2 unconnected molecules or ions with the total composition C3H5N2O2 at a distorted geometry. Source: the OMol25 dataset; level of theory: the ωB97M-V functional and the def2-TZVPD basis.

Properties
LUMO level ... 0.156 hartree
HOMO energy ... -2.7 eV
Energy above the lowest of the compared OMol25 structures with the same formula, charge and spin ... 3.508 eV
Gap between HOMO and LUMO ... 6.92 eV
Max |F| ... 3.3 eV/A
Spin multiplicity ... 1
DFT total energy ... -377.16118 hartree
Total charge ... -1

Geometry (Å):
C 0.065 -2.231 -0.651
C 0.045 1.583 1.077
C 0.098 0.069 1.081
N -0.474 0.727 -0.051
N 0.274 -1.622 -1.653
O 0.040 0.828 -1.297
O 0.031 -3.080 0.154
H -0.736 2.002 1.678
H 0.844 2.042 0.598
H 1.081 -0.197 1.012
H -1.382 0.434 -0.196
H 0.113 -0.555 -1.752

No. 2
A gas-phase ion, C3H5N2O2 (charge +1) at a distorted geometry. Source: the OMol25 dataset; level of theory: the ωB97M-V functional and the def2-TZVPD basis.

Properties
LUMO level (spin up / spin down) ... -0.314 / -0.314 hartree
HOMO energy (spin up / spin down) ... -15.1 / -15.1 eV
SMILES ... O=C=NCC[NH+]=O
Energy above the lowest of the compared OMol25 structures with the same formula, charge and spin ... 4.968 eV
Gap between HOMO and LUMO (spin up / spin down) ... 6.52 / 6.52 eV
Max |F| ... 5.8 eV/A
Spin multiplicity ... 1
DFT total energy ... -376.85360 hartree
Total charge ... +1

Geometry (Å):
O 0.159 2.453 -1.735
C 0.544 1.462 -1.274
N 1.248 0.633 -0.752
C 0.873 -0.621 -0.172
C -0.541 -0.850 0.389
N -0.887 0.193 1.247
O -1.883 0.841 1.112
H 1.713 -0.788 0.455
H 0.776 -1.227 -1.016
H -1.310 -0.593 -0.597
H -0.686 -1.947 0.655
H -0.005 0.444 1.689

April Doodle

Please click here for the latest Doodle!